Wanted
It remains to write out only the last part of the notes underneath, starting with the line that has "HOMO level:".

Source
********
Below is a cluster of 2 separate species, C4H6O in total in a non-equilibrium geometry, with properties calculated with the ωB97M-V functional and the def2-TZVPD basis.

Summary:
* M: 70.1 g/mol
* HOMO level: -9.12 eV
* total charge: 0
* HOMO-LUMO gap: 9.7 eV
* ΔE to the lowest compared entry with this formula, charge and spin: 4.405 eV

The geometry in XYZ format:
```
11
Properties=species:S:1:pos:R:3:forces:R:3
O 2.729 0.593 -0.330 -0.1 -0.2 4.6
C 0.026 -0.301 -0.169 5.3 -0.7 1.4
C -2.471 0.342 0.010 0.6 0.5 -2.4
C 2.100 -0.421 0.314 -3.8 0.1 0.1
C -1.095 0.008 0.127 0.7 0.6 -0.2
H 2.748 0.536 -1.233 -0.1 -0.8 -3.5
H -2.774 1.315 0.310 -0.2 0.6 0.6
H -2.968 -0.456 0.402 -2.2 -1.7 1.6
H 2.004 -0.382 1.413 0.0 1.4 -0.6
H -2.637 0.237 -1.073 -0.4 0.4 0.1
H 2.337 -1.471 0.226 0.2 -0.2 -1.6
```
Positions in Å, forces in eV/Å.

Löwdin atomic charge list, values in e, 4 entries: 0.00, 0.07, -0.13, -0.10
********

Here it is
* HOMO level: -9.12 eV
* total charge: 0
* HOMO-LUMO gap: 9.7 eV
* ΔE to the lowest compared entry with this formula, charge and spin: 4.405 eV

The geometry in XYZ format:
```
11
Properties=species:S:1:pos:R:3:forces:R:3
O 2.729 0.593 -0.330 -0.1 -0.2 4.6
C 0.026 -0.301 -0.169 5.3 -0.7 1.4
C -2.471 0.342 0.010 0.6 0.5 -2.4
C 2.100 -0.421 0.314 -3.8 0.1 0.1
C -1.095 0.008 0.127 0.7 0.6 -0.2
H 2.748 0.536 -1.233 -0.1 -0.8 -3.5
H -2.774 1.315 0.310 -0.2 0.6 0.6
H -2.968 -0.456 0.402 -2.2 -1.7 1.6
H 2.004 -0.382 1.413 0.0 1.4 -0.6
H -2.637 0.237 -1.073 -0.4 0.4 0.1
H 2.337 -1.471 0.226 0.2 -0.2 -1.6
```
Positions in Å, forces in eV/Å.

Löwdin atomic charge list, values in e, 4 entries: 0.00, 0.07, -0.13, -0.10